Monday, February 27, 2017

Supreme Court-Meet Gavin Grimm

The Supreme Court will rule on a landmark case over the right of trans students to use the bathroom that corresponds with their gender identity, the court announced on Friday.
The case revolves around Gavin Grimm, a trans boy in Virginia who was barred from using the men’s bathroom at his high school after the Gloucester County School Board approved a policy ordering students use the bathroom that matches their biological gender.
Grimm’s case marks the first time the Court will wade into the charged debate over so-called “bathroom bills” which has played out around the country. The battle has been particularly pronounced in North Carolina, where outrage over the notorious HB2 resulted in scores of public figures, businesses, entertainers, and sports leagues saying they would boycott the state while the law remained on the books.
Although the Obama administration issued a directive in May for school districts to allow trans students to use the bathroom of their choice, the battle has continued to play out at the state level. The Supreme Court now has the chance to put an end to gender-based bathroom policing once and for all.

It a bit of good news: 

ACLU National  @ACLU
The Supreme Court called @libertycounsel out for referring to Gavin Grimm with the wrong pronoun

It’s unclear how the Court will rule, but at least it’s holding firm on this important principle.

Busy Week

First of all, it's hard to believe March is here this week and I have so much to do!

Tonight is the bi-monthly meeting (no pun intended) of the Cincinnati Crossport  group which is a loosely tied together group of transgender and cross dressing peeps. I will be interested to see if the snarky cross dressers wife returns. If I get attacked, I will know she reads the blog :).

Tuesday is one of my VA doctors appointments up in Dayton which is quite the round trip and takes me most of the day.

Wednesday is a get together to do signage for Thursdays' protest march at Cincinnati's City Hall. Protesting of course "45's" (Trump's) edit to do away with transgender children's restroom protections. A slam at the most innocent sector of the transgender community, who of course do not have a vote.

Thursday is the protest itself which by all estimates should be well attended.

Friday I get my hearing checked...huh? Perhaps I can explain why I don't hear them when they call me "Mr."?

Saturday if we can fit it in is a meeting of one of the "creative" groups we go to. It's an eclectic group of artists, writers etc,

Then of course I have to work in time to write about it all!

And all this time I thought retirement was a time for rest?

Sunday, February 26, 2017

Purge It-Dammit!

We all know one of the most wasteful and non productive parts of our cross dressing experiences have been the "purges" we have gone through. My own non official definition of a purge is to get rid of an article or articles of something you don't want.

Many of us have been forced by others such as a spouse, girlfriend or parent to purge ourselves of our feminine clothing, shoes and makeup. I know I have done it out of a sense of shame or even a resolution never to cross dress again. The whole process soon becomes similar to cutting a weed in the yard. The more you cut it, the faster it wants to come back. At a cost, of course.

Here is a more extreme case from Connie in response to a post I had written about my "stash" mysteriously disappearing from an apartment I lived in back before I was inducted into the Army:

My mother once, despite my extraordinary efforts to hide it, found my "stash" when I was 16. She had bagged it up and put it on the kitchen table while I was at school, and then further shamed me by ordering me to throw it in the garbage can outside. I was so ashamed that I told her I'd go one better and take it straight to the dump (partially because my messed-up mind thought that the garbage man might put two and two together, thus knowing my secret).

_Here the page breaks off for data records_
┌──
Record 1
DFT (PBE-GGA) results for a geometry-optimized MgAsSeBr2 structure.

Lattice parameters (Å, degrees): 4.9911 4.9911 5.5389 90.00 90.00 90.00
Last column: magnetic moment on the atom in μB.
Fractional coordinates of all 5 atoms:
Mg 0.0000 0.0000 0.0000  0.00
As 0.5000 0.5000 0.5000  0.67
Se 0.0000 0.0000 0.5000  -0.26
Br 0.0000 0.5000 0.0000  0.00
Br 0.5000 0.0000 0.0000  0.00

## Properties
DOS at the Fermi energy   2.13 states/eV/f.u.
SG   No. 123
Energy relative to the elements, uncorrected   -0.077 eV per atom
Density   4.07 Mg/m³
Distance to the lowest polymorph of the same formula   0 meV per atom
Total moment   0.198 μB/atom

Record 2
DFT (PBE-GGA) results for a geometry-optimized MgAsSeBr2 structure.

Lattice parameters (Å, degrees): 5.3334 5.3334 5.2137 90.00 90.00 90.00
Fractional coordinates of all 5 atoms:
Mg 0.5000 0.5000 0.5000
As 0.0000 0.0000 0.5000
Se 0.0000 0.0000 0.0000
Br 0.0000 0.5000 0.0000
Br 0.5000 0.0000 0.0000

## Properties
DOS at the Fermi energy   4.31 states/eV/f.u.
SG   No. 123
Energy relative to the elements, uncorrected   0.279 eV per atom
Density   3.78 Mg/m³
Distance to the lowest polymorph of the same formula   356 meV per atom
Total moment   0.000 μB/atom

* * * * *

1.
Pr3Cd8Ag | PBE-GGA | optimized geometry

Its crystal system is trigonal. The density of states at the Fermi level comes out at 5.45 states/eV/f.u. Its energy relative to the elements is -229 meV/atom.

Geometry as CIF:
```
data_Pr3Cd8Ag
_chemical_formula_sum 'Pr9 Cd24 Ag3'
_cell_length_a 5.9548
_cell_length_b 5.9548
_cell_length_c 29.3047
_cell_angle_alpha 90.00
_cell_angle_beta 90.00
_cell_angle_gamma 120.00
_space_group_name_H-M_alt 'R 3 m'
_space_group_IT_number 160
_space_group_name_Hall 'R 3 -2"'
loop_
_atom_site_label
_atom_site_type_symbol
_atom_site_fract_x
_atom_site_fract_y
_atom_site_fract_z
Pr1 Pr 0.0000 0.0000 0.0000
Pr2 Pr 0.0000 0.0000 0.1265
Pr3 Pr 0.0000 0.0000 0.5116
Cd1 Cd 0.0000 0.0000 0.3159
Cd2 Cd 0.0000 0.0000 0.8162
Cd3 Cd 0.0005 0.5002 0.0658
Cd4 Cd 0.0013 0.5006 0.5668
Ag1 Ag 0.0000 0.0000 0.6330
```

2.
Mg2AlO | PBE-GGA | optimized geometry

Its crystal system is cubic. The density of states at the Fermi level comes out at 2.72 states/eV/f.u. The value obtained for the energy above the lowest structure with this stoichiometry is 1017 meV/atom.

Geometry as CIF:
```
data_Mg2AlO
_chemical_formula_sum 'Mg8 Al4 O4'
_cell_length_a 6.5219
_cell_length_b 6.5219
_cell_length_c 6.5219
_cell_angle_alpha 90.00
_cell_angle_beta 90.00
_cell_angle_gamma 90.00
_space_group_name_H-M_alt 'F m -3 m'
_space_group_IT_number 225
_space_group_name_Hall '-F 4 2 3'
loop_
_atom_site_label
_atom_site_type_symbol
_atom_site_fract_x
_atom_site_fract_y
_atom_site_fract_z
Mg1 Mg 0.2500 0.2500 0.2500
Al1 Al 0.0000 0.0000 0.0000
O1 O 0.0000 0.0000 0.5000
```

3.
KRb2Cu2Br6 | PBE-GGA | optimized geometry

Its crystal system is monoclinic. The density of states at the Fermi level comes out at 4.77 states/eV/f.u.

Geometry as CIF:
```
└──

 It wasn't long, though, before I had assembled a whole new - and upgraded - "stash", which I hid even better that time. I used to wonder "what if" I had not been made to endure such shame. I've let go of that notion, as I came to realize that I was feeling shame for something I didn't even understand at the time. The shame is that I really had nothing to be ashamed about - except for my deviousness and deception."

She (Connie) also mentioned the guy I wrote about who displayed a little extra interest in me "dressing up" after the fact:

"My first thought would have been "what if" it were that guy who ended up with my stuff. "

Good point and truly one I haven't given much thought to, except the timing wasn't quite right and besides that I was in full fledged damage control before I finally calmed down and thought what were they going to do to me? Draft me? Quickly it became too late to cry over spilled/lost panty hose anyway. 

I was out of there and off to Ft. Knox for a winter vacation (basic training) a month later anyhow. If the guy did end up with my "stash" I hope he enjoyed it as much as I did.

Saturday, February 25, 2017

Estrogen Contact Buzz

This morning was my second visit to Liz's weight life style group. The group so far has been approximately 25 to 30 cis women, one transgender woman and two cis guys (I think) all packed into a small room.

During the meeting I have a chance to look around the room and learn among other things how so many cis women deal with being over weight their entire lives. I am coming to an understanding of how body image ranks right up towards the top with most women and why so many take such good salon care of their hair and nails. It is all part of being part of the high maintenance gender.

Do they do it for men? Or for other women? Both I feel, which is one mistake beginning cross dressers make when entering the world. They dress how they think a man would want to view them, not how the other women do. Leading to an overly sexed image. As we all know, there is a fine line between classy and trashy.

After this morning's meeting, I almost think I can skip one of my rounds of estrogen patches this week!

Speaking of estrogen and HRT, I have a friend who just got permission to start her own (estrodial & spiro) this week! She was so excited :)

You go girl!!!!!

Between two parts of the entry: data records =
- - -
DFT (PBE-GGA) results for a relaxed structure of K3CdAg.

Cell lengths 4.9031, 11.3157, 7.9778 Å; angles 90.00, 90.09, 90.00 degrees
Fractional coordinates of all 10 atoms:
K 0.2458 0.2500 0.4727
K 0.2526 0.5359 0.1957
K 0.2526 0.9641 0.1957
K 0.7474 0.0359 0.8043
K 0.7474 0.4641 0.8043
K 0.7542 0.7500 0.5273
Cd 0.2473 0.2500 0.9715
Cd 0.7527 0.7500 0.0285
Ag 0.2526 0.7500 0.8527
Ag 0.7474 0.2500 0.1473

Calculated values
**Energy**: -1.42 eV per atom
**SG**: P2_1/m (11)
**Energy relative to the lowest polymorph listed for this composition**: 0 meV/atom


Computed, not measured: Ca2GaCu2 at its PBEsol-relaxed geometry at the SCAN level of DFT.

Cell lengths 4.2410, 5.2800, 5.5952 Å; angles 118.15, 112.27, 90.00 degrees
With the nearest neighbours (Å) after each atom.
Fractional positions:
Ca 0.8050 0.3050 0.6100  6 Cu 3.03, 2 Ga 3.16
Ca 0.1950 0.6950 0.3900  6 Cu 3.03, 2 Ga 3.16
Ga 0.0000 0.0000 0.0000  4 Cu 2.51
Cu 0.5000 0.7454 0.0000  2 Ga 2.51, 2 Cu 2.59-2.69
Cu 0.5000 0.2546 0.0000  2 Ga 2.51, 2 Cu 2.59-2.69

Calculated values
* calculated formation energy: -328 meV per atom
* calculated density: 4.6 g/cm³

Computed, not measured: K2SrFe at its PBEsol-relaxed geometry at the SCAN level of DFT.

Cell lengths 4.1078, 5.8230, 6.6236 Å; angles 90.00, 90.00, 95.17 degrees
With the nearest neighbours (Å) after each atom.
Fractional positions:
Fe 0.5000 0.0000 0.5000  4 Sr 3.41-3.71, 4 K 3.70
K 0.2851 0.2253 0.0000  3 K 3.29-3.51
K 0.7149 0.7747 0.0000  3 K 3.29-3.51
Sr 0.0000 0.5000 0.5000  4 Fe 3.41-3.71

Calculated values
* calculated formation energy: 737 meV per atom
* calculated density: 2.3 g/cm³

Computed, not measured: CdTcPb2 at its PBEsol-relaxed geometry at the SCAN level of DFT.

Cell lengths 3.4505, 4.9458, 4.9458 Å; angles 90.00, 90.00, 90.00 degrees
With the nearest neighbours (Å) after each atom.
Fractional positions:
Cd 0.5000 0.0000 0.0000  8 Pb 3.02
Pb 0.0000 0.0000 0.5000  4 Cd 3.02, 4 Tc 3.02
Pb 0.0000 0.5000 0.0000  4 Tc 3.02, 4 Cd 3.02
Tc 0.5000 0.5000 0.5000  8 Pb 3.02

Calculated values
* calculated formation energy: 666 meV per atom
* calculated density: 12.3 g/cm³

Computed, not measured: HoTaOs2 at its PBEsol-relaxed geometry at the SCAN level of DFT.

Cell lengths 4.5736, 4.5736, 4.5736 Å; angles 60.00, 60.00, 60.00 degrees
With the nearest neighbours (Å) after each atom.
Fractional positions:
Os 0.7500 0.7500 0.7500  4 Ta 2.80, 4 Ho 2.80
Os 0.2500 0.2500 0.2500  4 Ta 2.80, 4 Ho 2.80
Ho 0.0000 0.0000 0.0000  8 Os 2.80
Ta 0.5000 0.5000 0.5000  8 Os 2.80

Calculated values
* calculated formation energy: -405 meV per atom
* calculated density: 17.8 g/cm³

Computed, not measured: BIrO3 at its PBEsol-relaxed geometry at the SCAN level of DFT.

Cell lengths 3.8267, 3.8267, 3.8267 Å; angles 90.00, 90.00, 90.00 degrees
With the nearest neighbours (Å) after each atom.
Fractional positions:
- - -
Back to the entry =

Friday, February 24, 2017

Do I Know You?

This post should have been added to my "Life Turns on a Dime" series, but somehow became lost in the dusty recesses of my mind. It happened  way before I had even considered being transgender and referred to myself as a cross dresser or transvestite.

It goes all the way back to 1972 when I was waiting to be inducted into the Army and I was working at a radio station in the college town of Bowling Green, Ohio. I had just broken up with my finance and headed north from my home for the job and stayed in an apartment with a couple other guys. Just in case I had the chance, I packed my meager supply of women's clothes/makeup and moved along with my other belongings.

My other two roommates were college students so during breaks they went home, leaving the place all to me. Seemingly an empty college town brings out the best and worst of who was left hanging around. For example, I was just wasting time one night walking in the snow when a hippie girl showed up on the gray night. After a brief snowball fight, she treated me to a sexual adventure. After saying goodbye we never saw each other again. I hope it was good for her!

There was also a quiet guy who was sort of a "hanger on" around the apartment. For some reason he stayed behind too during the Christmas break that year.

In the meantime, one weekend I went home for a day or two and by the time I returned, I found out someone had stolen my wig, dress etc under the guise of "straitening" out my room. Not long after that the guy casually mentioned "dressing up" like a woman. I agreed and headed for my "stash" only to find it gone.

I have always wondered what would have happened if I had still had my clothes, wig etc.

Another "what if" lost in time.

Thursday, February 23, 2017

And the Trans Kids Suffer

Nearly all of my transgender email feeds today had to do with "45's" administration rolling back the Obama school transgender bathroom executive order.

Just saying...if you are trans and or an ally, (and voted for 45) you helped sell the trans kids up the creek. You had to know it would happen. Just saying.

On a more pleasant subject, I had several of you check in with comments on the power of presenting "natural." Looking back, it was and is one of the hardest lessons to learn. In my case, be gentle with my use of eye shadow. And, if I try to bring out my eyes, go easy on the lips...or vice versus.

I have also started a more structured pre-bed time routine which includes a gentle soap wash, residue make up tissue remover (with Vitamin E and collagen) and an anti wrinkle moisturizer. Of course at my age (67) I need all the skin care I can get. Finally, I brush my hair out, which is becoming quite the project as I have a lot of it.

With our unseasonably warm February weather, I am also trying to take some of the winter weight I have gained off by walking. I feel  (no pun intended) I need to take off at least ten pounds.

So, as I have always said, this girl thing is not a joke. It is so much more than applying makeup and buying the right clothes. As any cis woman knows, it is the work no one sees which makes the difference!

Wednesday, February 22, 2017

"Lazy versus "Blending?"

Everyday I have to put together a new outfit or put on my makeup to get ready to go out, I am envious of cis women (even though I have willingly entered their world.)

For one, if I am going anywhere I will face the public at all, I have to put my best feminine face forward. I am very fortunate in that I have the process down to a half hour.

I operate on the cusp of a very sharp double edged sword. At the best I came into to this ultra serious game at the best marginally presentable. These days without the help of surgery and with the help of hormones (HRT) I can navigate the world. Most importantly I have to look like I'm not trying-like any other cis woman.

I guess if I had any advice, practice makes perfect and don't get discouraged. No matter how hard you try, there most likely someone who will "sniff" you out and make your business their business. These days too, a sizable percentage of people are attracted to your transgender-ness. Sort of like the drive thru window girl yesterday who commented on my "LGBT rainbow ring." She liked it :)

I am not a proponent either of cis women who let themselves go which in the slightly upscale area I live in, I don't see many.

On the other hand, I attended one of Liz's weight loss classes Saturday and saw my share of cis women dressed in workout garb. I am not quite to that point in my dressing to blend development. The fun part was no one paid my much attention. They were more impressed I came as her support person than if I was or wasn't transgender.

Finally, no matter how grumpy I am, I need to carry Connie's famous accessory..."FFS" . A fast and friendly smile. Especially if I am going out before my morning coffee!

Football Bigot?

_Unrelated to this piece: materials data_
........
! SbOs2C (PBE-GGA, optimized geometry); values from VASP
! Formation energy (no corrections) = 1.5593 eV per atom
! Energy = -7.3921 eV/atom
! Total magnetic moment = 0.000 μB/f.u.
! Fermi-level density of states = 1.58 states/eV per cell
! Relative energy among the computed polymorphs = 816 meV/atom
! Symmetry = Fm-3m, No. 225
&SYSTEM
  ibrav = 0, nat = 4, ntyp = 3
/
ATOMIC_SPECIES
Sb 121.76 Sb.upf
Os 190.23 Os.upf
C 12.01 C.upf
CELL_PARAMETERS angstrom
-1.885 -3.843 0.589
-1.960 -0.894 3.746
-4.308 -0.290 0.169
ATOMIC_POSITIONS crystal
Sb 0.500 0.500 0.500
Os 0.250 0.250 0.250
Os 0.750 0.750 0.750
C 0.000 0.000 0.000

---

! SbOs3C (PBE-GGA, optimized geometry); values from VASP
! Formation energy (no corrections) = 0.7427 eV per atom
! Energy = -8.6644 eV/atom
! Total magnetic moment = 0.000 μB/f.u.
! Fermi-level density of states = 4.78 states/eV per cell
! Relative energy among the computed polymorphs = 0 meV/atom
! Symmetry = Pm-3m, No. 221
&SYSTEM
  ibrav = 0, nat = 5, ntyp = 3
/
ATOMIC_SPECIES
Os 190.23 Os.upf
Sb 121.76 Sb.upf
C 12.01 C.upf
CELL_PARAMETERS angstrom
4.152 0.000 0.000
0.000 4.152 0.000
0.000 0.000 4.152
ATOMIC_POSITIONS crystal
Os 0.000 0.000 0.500
Os 0.000 0.500 0.000
Os 0.500 0.000 0.000
Sb 0.500 0.500 0.500
C 0.000 0.000 0.000

---

! SbOs2C (PBE-GGA, optimized geometry); values from VASP
! Formation energy (no corrections) = 0.7433 eV per atom
! Energy = -8.2082 eV/atom
! Total magnetic moment = 0.000 μB/f.u.
! Fermi-level density of states = 3.53 states/eV per cell
! Relative energy among the computed polymorphs = 0 meV/atom
! Symmetry = I-42d, No. 122
&SYSTEM
  ibrav = 0, nat = 8, ntyp = 3
/
ATOMIC_SPECIES
C 12.01 C.upf
Os 190.23 Os.upf
Sb 121.76 Sb.upf
CELL_PARAMETERS angstrom
-4.611 0.253 -2.635
0.254 -5.226 -0.945
-4.633 -3.367 2.420
ATOMIC_POSITIONS crystal
C 0.250 0.750 0.500
C 0.500 0.500 0.000
Os 0.375 0.480 0.750
Os 0.875 0.770 0.750
Os 0.520 0.125 0.250
Os 0.230 0.625 0.250
Sb 0.750 0.250 0.500
Sb 0.000 0.000 0.000

---

! Th3SbOsC (PBE-GGA, optimized geometry); values from VASP
! Formation energy (no corrections) = -0.3744 eV per atom
! Energy = -8.1803 eV/atom
! Total magnetic moment = 0.000 μB/f.u.
! Fermi-level density of states = 6.41 states/eV per cell
! Symmetry = P2_1/m, No. 11
&SYSTEM
  ibrav = 0, nat = 12, ntyp = 4
/
ATOMIC_SPECIES
Th 232.04 Th.upf
Sb 121.76 Sb.upf
C 12.01 C.upf
Os 190.23 Os.upf
CELL_PARAMETERS angstrom
4.236 0.000 0.000
0.000 8.812 0.610
0.000 -2.742 9.109
ATOMIC_POSITIONS crystal
Th 0.750 0.878 0.149
Th 0.250 0.562 0.859
Th 0.750 0.173 0.521
Th 0.250 0.122 0.851
Th 0.250 0.827 0.479
Th 0.750 0.438 0.141
Sb 0.750 0.818 0.774
Sb 0.250 0.182 0.226
C 0.750 0.912 0.399
C 0.250 0.088 0.601
Os 0.750 0.341 0.844
Os 0.250 0.659 0.156

---

! Y2SbOsC (PBE-GGA, optimized geometry); values from VASP
! Formation energy (no corrections) = -0.4681 eV per atom
! Energy = -7.9689 eV/atom
! Total magnetic moment = 0.000 μB/f.u.
! Fermi-level density of states = 2.96 states/eV per cell
........
_End of the materials data_

From Connie:

"I guess I'm a football bigot. I just assumed she played American football until I got half-way through the post, only to find that she played soccer. So, is she paying forward or is she playing forward? Maybe both, I suppose. :-)

Cultures that recognize a third gender are few and far between, and although it is certainly worthwhile to educate the rest of the world that a third gender is recognized somewhere else. However, I have doubts that general worldwide acceptance will come about through a third gender view of trans people. The major religions would have to subscribe to it first, I think. Governments may be more apt to move toward the notion, but, as we can see in the US now, there is volatility on that front. I do find it interesting that she spoke in North Carolina, though."
More work needs to be done on recognizing the ancient Native American Indian cultures who also accepted a "third gender". In fact, some recognized a "dual or two spirited" person to be very special.

Two-Spirited Marchers San Francisco Pride 2014

It's unfortunate the major religions you write of have lost that path of thought. What an easier life we would have as transgender women and trans men.
Also, moving too far out of the traditional gender binaries for many seems to be too difficult to grasp somehow, along with other facets of modern society. Thus returning to a simplistic religious belief mechanism, among other things.

Monday, February 20, 2017

Paying Forward

From RNZ:

"A star of the award-winning film about American Samoa's national football team has given the keynote address at the 40th Annual Conference of the East Coast Asian American Student Union at Raleigh, North Carolina.
Jaiyah Saelua talked about her experience of sex discrimination at a college campus in Hawaii, how football and the film Next Goal Wins, in which she starred have opened doors for her and how faaSamoa embraces and accepts faafafine like herself as the third gender and as human beings.
The East Coast Asian American Student Union mission is to inspire, educate and empower Asian American & Pacific Islander students in higher education."

Jaiyah Saelua speaking at the East Coast Asian American Student Union conference. Photo: Supplied
"In 2009 when Saelua was dismissed from the University of Hawaii Hilo men's soccer team tryouts, she said it felt that she didn't have a voice.
But she told the conference that the title of being the first transgender in the world to play in a FIFA World Cup Qualifier gave her that voice.
She said it gave her an international platform and a responsibility to be the voice of many others like herself.
She pondered whether to remain in American Samoa and continue to live comfortably in an atmosphere that respects her, while the world of football continued to be completely careless to transgender interests, or whether she should capitalize on this opportunity to make a difference in the world."

For more, follow the link above.

Feeling the Pain

  Image from Eugenia  Maximova  on UnSplash. Learning on the fly all I needed to know concerning my authentic life as a transgender woman of...